
Ojibwe Culture and History

Recorded history estimates that the Ojibwe occupied the territories around the Great Lakes as early as 1400, expanding westward until the 1600s (Sultzman, 2000). The Ojibway people were the largest and most powerful of all the tribes inhabiting the Great Lakes region of North America. Despite the fur trade and Indian wars, the Ojibwe peoples continued to expand their territories and by the 1800s they occupied lands in Ontario, Manitoba, Saskatchewan, Michigan, Minnesota, Michigan, North Dakota, Illinois, Indiana, and Ohio. According to Sultzmann (2000), white settlement forcibly removed the Ojibwe from their lands and onto reservations.

Most Ojibwe belong to a cultural grouping known as the Woodlands culture. The Ojibwe people inhabit a great area around the Great Lakes and some have migrated to the plains or to areas further south. This has resulted in the need to adapt to different environmental conditions, which has influenced aspects of life such as art, ceremony and dress. For example, the Ojibwe that migrated towards the southern regions of their territories – Michigan, Illinois, Wisconsin, and Ontario – were able to establish larger, more permanent villages and began to cultivate plants such as corn, beans, squash, and tobacco. The Ojibwe people who lived in the northern Great Lakes region had a shorter growing season and poor soil so tended to rely on hunting and gathering for their food sources. They would harvest wild rice and maple sugar. Woodland Ojibwe were skilled hunters and trappers as well as fishermen. Ojibwe people still engage in hunting, trapping and fishing practices although their methods may have changed over the years.

## Crystal structures from another source follow
Record 1
# Na3CaAl3Si3SO16

A geometry-optimized Na3CaAl3Si3SO16 structure (PBE, Materials Project).

Values from the calculation:
The spin magnetization is 0.00 μB per formula unit. As for the formation energy: -3014.1 meV per atom. The energy above the most stable polymorph in this dataset comes out at 0.55 eV/f.u. For the MP2020-corrected energy, the calculation gives -7.34 eV per atom. As for the space-group type: No. 1.

a b c (Å): 7.829 7.854 12.816
angles (deg): 89.88 89.89 70.49
Fractional positions:
1 Ca 0.679 0.329 0.700
2 Ca 0.496 0.860 0.500
3 Si 0.380 0.372 0.123
4 Si 0.125 0.119 0.377
5 Si 0.008 0.505 0.750
6 Si 0.628 0.621 0.123
7 Si 0.493 0.994 0.750
8 Si 0.877 0.873 0.378
9 O 0.921 0.077 0.650
10 O 0.181 0.010 0.991
11 O 0.491 0.209 0.202
12 O 0.164 0.450 0.150
13 O 0.791 0.509 0.201
14 O 0.299 0.994 0.705
15 O 0.457 0.544 0.142
16 O 0.422 0.599 0.408
17 O 0.991 0.819 0.992
18 O 0.412 0.298 0.004
19 O 0.551 0.836 0.150
20 O 0.056 0.334 0.350
21 O 0.949 0.048 0.360
22 O 0.805 0.512 0.788
23 O 0.996 0.708 0.304
24 O 0.198 0.083 0.498
25 O 0.901 0.806 0.499
26 O 0.554 0.861 0.850
27 O 0.658 0.940 0.354
28 O 0.701 0.593 0.004
29 O 0.413 0.607 0.597
30 O 0.294 0.997 0.306
31 O 0.142 0.442 0.849
32 O 0.063 0.363 0.652
33 O 0.904 0.096 0.095
34 O 0.700 0.504 0.509
35 O 0.492 0.195 0.785
36 O 0.634 0.929 0.649
37 O 0.005 0.702 0.708
38 O 0.466 0.535 0.839
39 O 0.508 0.313 0.510
40 O 0.886 0.113 0.905
41 Al 0.375 0.370 0.874
42 Al 0.871 0.879 0.630
43 Al 0.117 0.130 0.629
44 Al 0.629 0.628 0.875
45 Al 0.003 0.499 0.250
46 Al 0.499 0.998 0.249
47 Na 0.182 0.812 0.173
48 Na 0.101 0.504 0.499
49 Na 0.195 0.805 0.821
50 Na 0.704 0.298 0.294
51 Na 0.003 0.375 0.002
52 Na 0.630 0.995 0.001
53 S 0.510 0.500 0.504
54 S 0.990 0.010 0.996

Record 2
# Na7CaAl3Si3S3O24

A geometry-optimized Na7CaAl3Si3S3O24 structure (PBE, Materials Project).

Values from the calculation:
The spin magnetization is 0.00 μB per formula unit. As for the formation energy: -2602.7 meV per atom. For the MP2020-corrected energy, the calculation gives -6.75 eV per atom. As for the space-group type: No. 1.

a b c (Å): 8.942 8.928 21.951
angles (deg): 90.81 90.04 119.89
Fractional positions:
1 Al 0.625 0.286 0.988
2 Al 0.352 0.676 0.813
3 Al 0.351 0.677 0.515
4 Al 0.329 0.671 0.017
5 Al 0.016 0.005 0.850
6 Al 0.351 0.691 0.319
7 Al 0.983 0.999 0.653
8 Al 0.693 0.357 0.479
9 Al 0.978 0.008 0.142
10 O 0.833 0.001 0.084
11 O 0.857 0.488 0.422
12 O 0.616 0.082 0.144
13 O 0.188 0.013 0.587
14 O 0.144 0.631 0.357
15 O 0.848 0.832 0.588
16 O 0.040 0.832 0.423
17 O 0.868 0.364 0.921
18 O 0.502 0.146 0.922
19 O 0.840 0.531 0.030
20 O 0.504 0.374 0.423
21 O 0.472 0.139 0.246
22 O 0.495 0.663 0.571
23 O 0.186 0.974 0.196
24 O 0.701 0.531 0.525
25 O 0.361 0.856 0.856
26 O 0.171 0.146 0.094
27 O 0.330 0.501 0.062
28 O 0.466 0.094 0.637
29 O 0.491 0.833 0.068
30 O 0.834 0.007 0.815
31 O 0.322 0.476 0.472
32 O 0.989 0.210 0.307
33 O 0.032 0.823 0.695
34 O 0.453 0.294 0.026

The Ojibwe were very resourceful using what was available from their environment as building materials and for household items. For example, birch bark was used for almost everything: utensils, storage containers, and canoes. Birch bark was also used as a building material to cover the wigwam. It was an excellent building material because it was sturdy, lightweight and portable so that when the family moved it was easy to disassemble their wigwam and re-assemble it in their new location.

Clothing and moccasins were made from the hide of animals, particularly deer and moose, which also served as their food sources. During the winter months, the Ojibwe spent much of their time inside the wigwams. The winter was a time of storytelling and for working on their clothing. The women would decorate their moccasins with quill and moose hair designs, often taking designs from the environment such as floral patterns that are distinctive to the woodland people.

Ojibwe life was centered around the land and the seasons. For example, in the winter months the tribe would separate into their extended family units and travel to their hunting camps. In this way, they could hunt in a specific territory without competition from other hunters and ensure that over-hunting would not occur. In the summer, they would return to their summer homes where fish, wild rice and berries were abundant.

### Attached: calculated crystals
____________
Entry 1:
{
  "formula": "LiFe4B4O12",
  "functional": "PBE+U",
  "state": "relaxed",
  "lattice": [[5.222, 0.000, 0.000], [-2.532, 4.602, 0.000], [-0.057, -0.194, 20.135]],
  "species": ["B", "B", "B", "B", "B", "B", "B", "B", "Fe", "Fe", "Fe", "Fe", "Fe", "Fe", "Fe", "Fe", "Li", "Li", "O", "O", "O", "O", "O", "O", "O", "O", "O", "O", "O", "O", "O", "O", "O", "O", "O", "O", "O", "O", "O", "O", "O", "O"],
  "frac_coords": [[0.667, 0.005, 0.189], [0.345, 0.000, 0.314], [0.999, 0.343, 0.064], [0.658, 0.005, 0.689], [0.005, 0.665, 0.938], [0.003, 0.664, 0.439], [0.337, 0.996, 0.814], [0.998, 0.334, 0.564], [0.326, 0.998, 0.064], [0.325, 0.992, 0.565], [0.000, 0.674, 0.690], [0.676, 0.007, 0.939], [0.681, 0.007, 0.439], [0.005, 0.674, 0.189], [0.996, 0.327, 0.815], [0.008, 0.321, 0.312], [0.342, 0.349, 0.454], [0.672, 0.654, 0.322], [0.991, 0.407, 0.914], [0.293, 0.229, 0.816], [0.873, 0.270, 0.716], [0.251, 0.916, 0.463], [0.886, 0.275, 0.209], [0.732, 0.129, 0.037], [0.590, 0.978, 0.333], [0.699, 0.764, 0.195], [0.091, 0.748, 0.292], [0.703, 0.773, 0.686], [0.124, 0.730, 0.787], [0.350, 0.261, 0.319], [0.728, 0.111, 0.545], [0.271, 0.876, 0.965], [0.771, 0.709, 0.936], [0.740, 0.660, 0.431], [0.029, 0.421, 0.423], [0.231, 0.297, 0.066], [0.244, 0.306, 0.556], [0.398, 0.993, 0.666], [0.595, 0.010, 0.838], [0.020, 0.594, 0.588], [0.010, 0.601, 0.086], [0.403, 0.981, 0.165]],
  "total_magnetization_mub_per_fu": 19.000,
  "formation_energy_mev_per_atom": -2225.9,
  "e_above_lowest_polymorph_mev_per_atom": 7.9
}

Entry 2:
{
  "formula": "Li4Ni3Sn2Sb3O16",
  "functional": "PBE+U",
  "state": "relaxed",
  "lattice": [[-4.151, 1.162, 4.412], [-3.932, -4.426, 1.732], [13.001, -6.054, 13.684]],
  "species": ["Sb", "Sb", "Sb", "Sb", "Sb", "Sb", "O", "O", "O", "O", "O", "O", "O", "O", "O", "O", "O", "O", "O", "O", "O", "O", "O", "O", "O", "O", "O", "O", "O", "O", "O", "O", "O", "O", "O", "O", "O", "O", "Ni", "Ni", "Ni", "Ni", "Ni", "Ni", "Sn", "Sn", "Sn", "Sn", "Li", "Li", "Li", "Li", "Li", "Li", "Li", "Li"],
____________

Learning Activities

  1. Describe how life changed for the Ojibwe as a result of sharing land with the settlers.
  2. Are there remnants of Ojibwe culture that remain intact today? What might those be?
  3. How did the Ojibwe of the Eastern Woodlands optimize their food sources for nutrition?
  4. Describe how the Ojibwe people used their environment to fashion fishing and hunting technologies and to design their dwellings.
  5. Describe how the Ojibwe people used the knowledge of their environment to ensure survival.

-- Materials data from another source follow --
'''
A plane-wave DFT calculation with meta-GGA r2SCAN was carried out for an optimized crystal structure of PmHo3.

a b c (Å): 6.168 6.168 6.168
angles (deg): 131.82 131.82 70.51
Fractional coordinates of all 4 atoms:
Ho 0.500 0.500 0.000
Pm 0.000 0.000 0.000
Ho 0.750 0.250 0.500
Ho 0.250 0.750 0.500

Output
Energy above the most stable polymorph in this dataset = 32 meV/atom
DFT formation energy = 4.3 kJ per mole of atoms

A plane-wave DFT calculation with meta-GGA r2SCAN was carried out for an optimized crystal structure of PmHo3.

a b c (Å): 5.033 5.033 5.033
angles (deg): 90.00 90.00 90.00
Fractional coordinates of all 4 atoms:
Ho 0.500 0.000 0.500
Ho 0.000 0.500 0.500
Ho 0.500 0.500 0.000
Pm 0.000 0.000 0.000

Output
Energy above the most stable polymorph in this dataset = 32 meV/atom
DFT formation energy = 4.2 kJ per mole of atoms

A plane-wave DFT calculation with meta-GGA r2SCAN was carried out for an optimized crystal structure of PmHo3.

a b c (Å): 7.301 7.301 5.616
angles (deg): 90.00 90.00 120.00
Fractional coordinates of all 8 atoms:
Ho 0.835 0.670 0.750
Ho 0.165 0.835 0.250
Ho 0.835 0.165 0.750
Ho 0.165 0.330 0.250
Pm 0.667 0.333 0.250
Pm 0.333 0.667 0.750
Ho 0.670 0.835 0.250
Ho 0.330 0.165 0.750

Output
Energy above the most stable polymorph in this dataset = 0 meV/atom
DFT formation energy = 1.1 kJ per mole of atoms

A plane-wave DFT calculation with meta-GGA r2SCAN was carried out for an optimized crystal structure of PmHo.

a b c (Å): 3.653 3.652 5.868
angles (deg): 90.00 90.00 120.00
Fractional coordinates of all 2 atoms:
Pm 0.333 0.667 0.250
Ho 0.667 0.333 0.750

Output
DFT formation energy = 1.8 kJ per mole of atoms

A plane-wave DFT calculation with meta-GGA r2SCAN was carried out for an optimized crystal structure of Pm3Ho.

a b c (Å): 6.281 6.281 6.281
angles (deg): 131.92 131.92 70.35
Fractional coordinates of all 4 atoms:
Pm 0.750 0.250 0.500
Ho 0.000 0.000 0.000
Pm 0.500 0.500 0.000
Pm 0.250 0.750 0.500

Output
Energy above the most stable polymorph in this dataset = 7 meV/atom
DFT formation energy = 2.7 kJ per mole of atoms

A plane-wave DFT calculation with meta-GGA r2SCAN was carried out for an optimized crystal structure of Pm3Ho.

a b c (Å): 7.388 7.388 5.770
angles (deg): 90.00 90.00 120.00
Fractional coordinates of all 8 atoms:
Pm 0.665 0.832 0.250
Pm 0.832 0.168 0.750
Pm 0.832 0.665 0.750
Pm 0.335 0.168 0.750
Ho 0.667 0.333 0.250
Pm 0.168 0.335 0.250
Ho 0.333 0.667 0.750
Pm 0.168 0.832 0.250

Output
Energy above the most stable polymorph in this dataset = 0 meV/atom
DFT formation energy = 2.0 kJ per mole of atoms

A plane-wave DFT calculation with meta-GGA r2SCAN was carried out for an optimized crystal structure of PmHoTl2.

a b c (Å): 5.386 5.386 5.386
angles (deg): 60.00 60.00 60.00
Fractional coordinates of all 4 atoms:
Tl 0.750 0.750 0.750
Pm 0.000 0.000 0.000
Ho 0.500 0.500 0.500
Tl 0.250 0.250 0.250

Output
DFT formation energy = -44.7 kJ per mole of atoms
'''
-- So much for the materials data --

Expanding Your Knowledge

  1. The following link provides greater detail into the history of the Ojibwe and includes some description of the Ojibwe culture:
    Ojibwe History